CARE would like to congratulate Hon. Martin Barash of the United States Bankruptcy Court, Central District of California, on being named CARE’s 2022 Volunteer of the Year! In 2022, Judge Barash selflessly donated his time and expertise to his local CARE chapter and helped make financial literacy education accessible for many.
“Throughout all the years I’ve known Judge Marty Barash, he’s been incredibly giving. He’s done everything from hosting mock trials for school kids in his courtroom, to chairing our education committee and inspiring our law clerks and externs, to spearheading the CARE program, including through the pandemic. Marty is truly a gift to all of us: he makes this world a better place. Thank you, Marty, and congratulations on this well-deserved award.” – Hon. Neil Bason
- - -
Entry 1:
Computed, not measured: a relaxed Mn2Tl3PbCl9 crystal at the PBE level of DFT.

The structure in POSCAR format:
```
Mn2Tl3PbCl9
1.0
-4.7093 1.0944 -5.4756
2.4821 -6.7273 1.3930
-7.2968 -1.4529 5.9852
Mn Pb Tl Cl
2 1 3 9
direct
0.3333 0.6667 0.1634
0.6667 0.3333 0.8366
0.0000 0.0000 0.5000
0.3333 0.6667 0.7382
0.6667 0.3333 0.2618
0.0000 0.0000 0.0000
0.5000 0.5000 0.0000
0.5000 0.0000 0.0000
0.1701 0.3402 0.3018
0.6598 0.8299 0.3018
0.8299 0.1701 0.6982
0.0000 0.5000 0.0000
0.8299 0.6598 0.6982
0.1701 0.8299 0.3018
0.3402 0.1701 0.6982
```

## Properties
total DFT energy (no corrections)	-61.575	eV for the cell shown
raw formation energy	-15.81	eV/f.u.
V	29.4	A^3/atom
space-group type	P-3m1
D(E_F)	0.00	states/eV/f.u.

Entry 2:
Computed, not measured: a relaxed MnVPbCl6 crystal at the PBE level of DFT.

The structure in POSCAR format:
```
MnVPbCl6
1.0
6.5186 0.0000 0.0000
-3.2593 5.6453 0.0000
0.0000 0.0000 12.5646
Mn Cl V Pb
2 12 2 2
direct
0.3333 0.6667 0.7500
0.6667 0.3333 0.2500
0.3629 0.9936 0.1377
0.9936 0.3629 0.6377
0.3693 0.0064 0.6377
0.6307 0.6371 0.1377
0.0064 0.6371 0.3623
0.6371 0.6307 0.6377
0.9936 0.6307 0.8623
0.3693 0.3629 0.8623
0.6371 0.0064 0.8623
- - -
Q & A with Judge Barash
Why did you decide to get involved with CARE?
**These records of crystals were left in the text by mistake**
<<<
No. 1
VASP calculation (PBE) on crystalline KPd3I at its relaxed geometry.

```
KPd3I
1.0
5.118 0.000 0.000
0.000 5.118 0.000
0.000 0.000 5.118
I Pd K
1 3 1
direct
0.000 0.000 0.000 I
0.000 0.500 0.000 Pd
0.500 0.000 0.000 Pd
0.000 0.000 0.500 Pd
0.500 0.500 0.500 K
```

Summary:
Relative energy among the computed polymorphs ... 0 meV/atom
Formation energy without anion corrections ... 50 kJ/mol of formula units
DFT total energy ... -17.71 eV per cell

***

No. 2
VASP calculation (PBE) on crystalline GdZr2Np at its relaxed geometry.

```
GdZr2Np
1.0
3.774 0.000 0.000
0.000 3.774 0.000
0.000 0.000 7.159
Zr Np Gd
2 1 1
direct
0.000 0.000 0.791 Zr
0.000 0.000 0.209 Zr
0.500 0.500 0.000 Np
0.500 0.500 0.500 Gd
```

Summary:
Calculated formation energy ... 313.4 meV per atom
DFT total energy ... -42.86 eV per cell

***

No. 3
VASP calculation (PBE) on crystalline YSi4Os2 at its relaxed geometry.

```
YSi4Os2
1.0
4.074 0.000 0.000
0.000 6.651 0.000
0.000 0.000 16.257
Si Os Y
16 8 4
direct
0.750 0.220 0.299 Si
0.250 0.373 0.020 Si
0.750 0.653 0.306 Si
0.750 0.847 0.806 Si
0.750 0.983 0.052 Si
0.750 0.280 0.799 Si
0.250 0.127 0.520 Si
0.250 0.153 0.194 Si
0.250 0.017 0.948 Si
0.250 0.483 0.448 Si
0.250 0.347 0.694 Si
0.750 0.627 0.980 Si
0.250 0.780 0.701 Si
0.250 0.720 0.201 Si
0.750 0.873 0.480 Si
0.750 0.517 0.552 Si
0.250 0.742 0.048 Os
0.250 0.057 0.801 Os
0.750 0.258 0.952 Os
0.750 0.242 0.452 Os
0.250 0.758 0.548 Os
0.250 0.443 0.301 Os
0.750 0.943 0.199 Os
0.750 0.557 0.699 Os
0.750 0.070 0.642 Y
0.250 0.930 0.358 Y
0.750 0.430 0.142 Y
0.250 0.570 0.858 Y
```

Summary:
Relative energy among the computed polymorphs ... 0 meV/atom
Formation energy without anion corrections ... -371 kJ/mol of formula units
DFT total energy ... -217.85 eV per cell

***

No. 4
VASP calculation (PBE) on crystalline ScMn2Ru at its relaxed geometry.

```
ScMn2Ru
1.0
-1.883 1.665 -1.284
0.770 -1.763 -3.416
-3.871 -3.612 0.992
Sc Mn Ru
1 2 1
direct
0.500 0.500 0.750 Sc
0.000 0.000 0.477 Mn
0.000 0.000 0.023 Mn
0.500 0.500 0.250 Ru
```

Summary:
Relative energy among the computed polymorphs ... 197 meV/atom
Calculated formation energy ... 131.8 meV per atom
DFT total energy ... -33.42 eV per cell

***

No. 5
VASP calculation (PBE) on crystalline LiAg2Sb2 at its relaxed geometry.

```
LiAg2Sb2
1.0
4.535 0.000 0.000
0.000 4.535 0.000
2.268 2.268 6.162
Ag Li Sb
2 1 2
direct
0.750 0.250 0.500 Ag
0.250 0.750 0.500 Ag
0.000 0.000 0.000 Li
0.613 0.613 0.773 Sb
0.387 0.387 0.227 Sb
```

Summary:
Relative energy among the computed polymorphs ... 64 meV/atom
Formation energy without anion corrections ... -22 kJ/mol of formula units
DFT total energy ... -16.09 eV per cell

***

No. 6
VASP calculation (PBE) on crystalline TaTcC2 at its relaxed geometry.

```
TaTcC2
1.0
-0.915 4.025 2.173
-2.538 1.397 -3.657
-5.681 0.737 1.249
C Tc Ta
4 2 2
direct
0.143 0.625 0.250 C
0.875 0.857 0.750 C
0.607 0.125 0.250 C
0.375 0.393 0.750 C
0.500 0.500 0.000 Tc
0.250 0.750 0.500 Tc
>>>
I became a federal bankruptcy judge to help people. Shortly after I started serving, however, the limitations of my role became clear. Although I was entrusted with the responsibility to adjudicate bankruptcy disputes and supervise bankruptcy cases, I had no ability to help people avoid the kind of problems that bring them to bankruptcy court. By participating in CARE, and speaking with young people when our message can have an impact on their developing financial habits, I feel like I am doing something to help prepare them for adulthood and avoid the pitfalls of uninformed credit use.
What is your most memorable moment or favorite story of being a volunteer?
No one moment stands out. But I feel a sense of immense satisfaction at the end of a program when I go around the room and have each participant tell me something they have learned from the presentation that they did not previously know. The next generation are smart and eager to learn from the mistakes of prior generations. But they need us to direct their attention to this issue and share our collective knowledge and experience.
Why do you think that financial literacy education is important?
For the simple reason that learning good financial habits is one of the keys to a happy and fulfilling life—and we don’t do enough in our schools to teach these fundamentals. Too many people in our country live under the strain of financial distress. This strain is, for many, the source of significant emotional and physical stress. For many people, this distress is the result of forces outside their control. But developing good financial habits is one thing that they can do to help navigate those pressures.
If there was one piece of advice you could give to young adults seeking financial independence, what would it be?
It may sound cliché, but don’t buy stuff you can’t afford. Whatever temporary pleasure or satisfaction you may derive from the things you buy it is not worth the long-term stress of being deeply in debt.
What message would you give to a CARE volunteer just starting out?
Don’t let the perfect be the enemy of the good. Don’t worry about whether your presentation is “perfect.” Just press forward. Treat it as a conversation with your audience.
What’s one takeaway you want students to learn from your CARE presentations?
That the “Minimum Payment” on a credit card bill is a trap! Pay your bill in full whenever possible. But always, always pay more than the minimum payment amount.